== To do ==
Say how many lines of the lines further down hold the word "SnSbCl3", as a bare number.
== Source ==
........
Record 1
Computed, not measured: a geometry-optimized Mg2ScW structure at the GGA-PBEsol level of DFT.

The structure in POSCAR format:
```
Mg2ScW
1.0
2.844 0.055 0.000
-0.888 5.254 0.000
-0.978 -2.655 5.017
Sc Mg W
1 2 1
direct
0.000 0.500 0.000
0.000 0.000 0.500
0.500 0.500 0.500
0.500 0.000 0.000
```

## Properties
Distance to the lowest polymorph of the same formula = 29 meV/atom
Fermi-level density of states = 3.4 states/eV per cell
Formation enthalpy at 0 K = 0.39 eV/atom
Symmetry = C2/m (12)

---

Record 2
Computed, not measured: a geometry-optimized ScRe3Sb structure at the GGA-PBEsol level of DFT.

The structure in POSCAR format:
```
ScRe3Sb
1.0
-3.504 0.157 3.006
0.217 -4.588 0.492
3.002 0.514 3.473
Sb Re Sc
1 3 1
direct
0.500 0.500 0.500
0.000 0.000 0.500
0.000 0.500 0.000
0.500 0.000 0.000
0.000 0.000 0.000
```

## Properties
Fermi-level density of states = 5.3 states/eV per cell
Symmetry = Pm-3m (221)
Total energy = -7.817 eV per atom

---

Record 3
Computed, not measured: a geometry-optimized ZnCr2Ni structure at the GGA-PBEsol level of DFT.

The structure in POSCAR format:
```
ZnCr2Ni
1.0
2.445 -0.002 0.000
-0.691 2.346 0.000
0.000 0.000 7.937
Cr Zn Ni
2 1 1
direct
0.500 0.500 0.744
0.000 0.000 0.989
0.500 0.500 0.258
0.000 0.000 0.509
```

## Properties
Fermi-level density of states = 3.0 states/eV per cell
Formation enthalpy at 0 K = 0.05 eV/atom
Symmetry = Cmm2 (35)

---

Record 4
Computed, not measured: a geometry-optimized SnSbCl3 structure at the GGA-PBEsol level of DFT.

The structure in POSCAR format:
```
SnSbCl3
1.0
5.337 0.000 0.000
0.000 5.337 0.000
0.000 0.000 5.337
Sn Cl Sb
1 3 1
direct
0.000 0.000 0.000
0.000 0.500 0.000
0.500 0.000 0.000
0.000 0.000 0.500
0.500 0.500 0.500
```

## Properties
Fermi-level density of states = 5.7 states/eV per cell
Symmetry = Pm-3m (221)
Total energy = -3.161 eV per atom

---

Record 5
Computed, not measured: a geometry-optimized Mn2P2O9 structure at the GGA-PBEsol level of DFT.

The structure in POSCAR format:
```
Mn2P2O9
1.0
6.079 0.000 0.000
0.000 7.520 0.000
0.000 0.000 13.555
O Mn P
36 8 8
direct
0.042 0.560 0.631
0.948 0.845 0.371
0.750 0.235 0.248
0.750 0.145 0.035
0.542 0.060 0.869
0.750 0.542 0.214
0.250 0.645 0.465
0.250 0.502 0.988
0.250 0.765 0.752
0.750 0.958 0.714
0.458 0.560 0.631
0.250 0.042 0.286
0.542 0.440 0.369
0.052 0.155 0.629
0.948 0.655 0.871
0.448 0.345 0.129
0.042 0.940 0.131
0.552 0.655 0.871
0.552 0.845 0.371
0.458 0.940 0.131
0.958 0.440 0.369
0.448 0.155 0.629
0.250 0.735 0.252
0.052 0.345 0.129
0.750 0.265 0.748
0.750 0.498 0.012
0.250 0.335 0.503
0.250 0.165 0.003
0.750 0.355 0.535
0.250 0.855 0.965
0.750 0.835 0.997
0.750 0.665 0.497
0.250 0.458 0.786
0.750 0.002 0.512
0.958 0.060 0.869
0.250 0.998 0.488
0.000 0.500 0.500
0.000 0.000 0.000
0.250 0.652 0.876
0.500 0.500 0.500
0.750 0.348 0.124
0.500 0.000 0.000
0.750 0.152 0.624
0.250 0.848 0.376
0.250 0.352 0.061
0.250 0.916 0.195
0.750 0.648 0.939
0.750 0.084 0.805
0.750 0.416 0.305
0.750 0.852 0.439
0.250 0.584 0.695
0.250 0.148 0.561
```

## Properties
Symmetry = Pnma (62)
Total energy = -7.883 eV per atom

---

Record 6
Computed, not measured: a geometry-optimized Cu2SbPt structure at the GGA-PBEsol level of DFT.

The structure in POSCAR format:
```
Cu2SbPt
1.0
3.392 0.000 0.000
0.000 3.392 0.000
0.000 0.000 5.315
Cu Pt Sb
2 1 1
direct
0.500 0.500 0.236
0.000 0.000 0.024
0.000 0.000 0.496
0.500 0.500 0.744
```

## Properties
Fermi-level density of states = 1.5 states/eV per cell
Symmetry = P4mm (99)
Total energy = -5.083 eV per atom

---

Record 7
Computed, not measured: a geometry-optimized Sc2Co structure at the GGA-PBEsol level of DFT.

The structure in POSCAR format:
```
Sc2Co
1.0
8.353 0.000 0.000
4.177 7.234 0.000
4.177 2.411 6.820
Sc Co
16 8
direct
0.938 0.562 0.938
0.938 0.562 0.562
0.312 0.688 0.312
0.625 0.125 0.125
........
== Written answer ==
2